This is the Monday update. You may submit your own articles / posts by clicking the ‘Submit’ tab on the menu. To comment, click the headline above, and a comment box will appear.Please share this website with your patriot friends and family.
2.) Taiwan’s Pandemic of The Vaccinated: More People Have Died After the Covid Injection Campaign Began
“Worldwide Walkouts will demand a return to freedom and democratic principles. Citizens around the globe are protesting loss of liberty, illegal mandates and tyrannical government overreach.”
7.) Big Pharma Imposed the “Vaccine” and “Digital Certificate”: “Undisclosed Contract” with EU Governments
“And I will not be getting vaccinated because my government tells me too and promises in return to grant me my freedom… Let’s be clear about one thing. No one grants me freedom for I am a free person.” – Christine Anderson, German MP to the EU Parliament MUST WATCH: EU MPs Absolutely Blast Parliament About Vaccine Cover Up Disclosure Contract Between Big Pharma And The EU Commission To Impose Vaccines On Its Citizens Without Them Knowing What’s In The Contract. Some brave members of the EU parliament are finally standing up against the global cabal who controls serially convicted criminal pharmaceutical companies like Pfizer and your government. about 29 min….well worth watching!
This is the weekend update. You may submit your own articles / posts by clicking the ‘Submit’ tab on the menu. To comment, click the headline above, and a comment box will appear.Please share this website with your patriot friends and family.
1.) The new Arkansas legislative district maps have been released (well, sort of). They are without street level detail, but maps nonetheless. You’ll see some significant district changes.
4.) Florida has the lowest Covid-CCP rates in the nation and in Florida, they have done the opposite of California.
(Daily Mail Online)How did Florida end up with one of the best COVID-19 case and death rates in the US?
QUOTE:The declines are despite Governor Ron DeSantis insisting the state would not shut down and refusing to implement mask or vaccine mandates and instead focusing efforts on early treatment
The state is doing just as well as California, despite the West Coast State taking a very strict approach including implementing mask mandates, limiting gatherings and closings bars and indoor dining at restaurants. Experts say Covid waves usually occur in a two-month cycle – with infections rising for two months before declining – and instead of trying to prevent the cycle from occurring, DeSantis just let it ride out.
5.) Fauci was wrong, yet again. More real life data!
QUOTE: ...yet the college football season is well under way and producing “real-world data” to help determine whether it’s finally time to obsess less about virions and more about, say, Big 10 rankings.
“I think it’s really unfortunate,” Dr Fauci has remarked, taking his cue from a CNBC host who noted crowded stadiums and fed him this prompt: “I thought COVID is about to have a feast. What do you think?”
It must be said this novel type of clinical trial isn’t randomized, double-blind and placebo-controlled. It’s not controlled in the least. What it is, though, is huge.
Let’s look at one: Penn State vs Auburn, played in the “Happy Valley” of Pennsylvania which is home to the Nittany Lions. Home fans arrived in uniform with white shirts, white sweaters, white body-paint — a “White Out” across a stadium not exactly built for social distancing (capacity: 106,572). I have nephews — young and trim alums — who must contort themselves while fitting into spaces tighter than the cheap seats on a puddle-jumper airline.
Data? According to the university, seven-day-average infectivity rates among students have fallen consistently from 1 percent on the day of the Auburn game to 0.2 percent currently. Students in quarantine, either because they show COVID symptoms or fall within a contact-tracing chain, have dropped from 34 to 4, this in a home-campus population of 46,000. These trends hold for the entire season to date. (The Auburn game was played on September 18; there have been home games before and since then.)
6.) New CV treatment: Fluvoxamine
[Here the entry breaks off for calculated molecules]
____________
Record 1
Density functional theory data (wB97M-V/def2-TZVPD) for a 4-piece molecular cluster, C7H23NO3 overall at a distorted geometry.

The value obtained for the energy is -560.90699 Ha. Its lowest unoccupied orbital energy is 0.6 eV. As for the relative energy (zero: lowest compared OMol25 entry of this formula, charge and spin): 164.62 kJ/mol. As for the SMILES: CCCCCN(C)C.O.O.O. The net charge is 0. The HOMO energy is -9.0 eV. The spin multiplicity is 1. The value obtained for the largest force on an atom is 2.23 eV Å⁻¹.

Each line ends with the Mulliken charge.
Geometry (Å):
C: -3.2937 -0.2651 -0.9778  -1.812
C: -1.8314 -0.2360 -0.5665  0.616
C: -1.4945 0.1535 0.8877  -0.199
C: -0.6188 -0.9103 1.5346  -1.069
C: 0.8333 -0.8457 1.0086  -0.830
N: 1.4711 0.4950 1.0465  0.426
C: 1.4283 0.9391 2.4343  -1.066
C: 2.8602 0.3427 0.5133  -0.991
H: -3.9766 -0.7326 -0.2938  0.425
H: -3.7606 0.6071 -1.4200  0.381
H: -3.4529 -0.9571 -1.7980  0.409
H: -1.5355 -1.2286 -0.9035  0.252
H: -1.3537 0.6452 -1.0516  -0.437
H: -0.9931 1.1552 0.9121  0.126
H: -2.4768 0.2730 1.4093  0.407
H: -0.6553 -0.7401 2.6174  0.330
H: -0.9004 -1.9272 1.2212  0.421
H: 0.9366 -1.2990 0.0324  0.311
H: 1.3476 -1.4780 1.7198  0.545
H: 1.7794 0.2259 3.1808  0.325
H: 0.3838 1.2704 2.6678  0.270
H: 1.9715 1.8991 2.6067  0.351
H: 2.8496 0.6274 -0.5649  0.280
H: 3.2914 -0.6928 0.6704  0.291
H: 3.6507 1.0170 0.8755  0.360
O: 0.2268 2.1718 -1.1592  -0.759
H: -0.4624 2.6660 -0.6992  0.326
H: 0.8559 2.1173 -0.4222  0.329
O: -0.2603 -0.0822 -2.6560  -0.630
H: -0.0613 0.6233 -2.0243  0.334
H: -0.3962 0.4731 -3.4514  0.297
O: 1.3818 -2.2338 -2.1508  -0.662
H: 0.6609 -1.5911 -2.1578  0.361
H: 1.5949 -2.4826 -3.0414  0.282

***

Record 2
Density functional theory data (wB97M-V/def2-TZVPD) for a 2-piece molecular cluster, C3H9NO2 overall at a distorted geometry.

The value obtained for the energy is -324.51847 Ha. Its lowest unoccupied orbital energy (alpha / beta) is -6.1 / -10.2 eV. As for the relative energy (zero: lowest compared OMol25 entry of this formula, charge and spin): 281.14 kJ/mol. The net charge is +1. The HOMO energy (alpha / beta) is -14.8 / -14.8 eV. The spin multiplicity is 2. The value obtained for the largest force on an atom is 4.88 eV Å⁻¹.

Each line ends with the Mulliken spin population.
Geometry (Å):
C: -0.9752 -0.1442 0.2460  0.015
C: 0.0335 -1.0445 -0.4247  0.143
C: 0.9202 -0.4065 -1.4714  -0.022
O: 2.0025 0.0266 -1.3266  0.565
N: -1.9224 0.5924 -0.5482  0.139
H: -0.2389 0.5476 0.7447  -0.004
H: -1.6054 -0.5855 1.0363  0.033
H: -0.3406 -2.0014 -0.8523  0.000
H: 0.7542 -1.5370 0.2852  0.007
H: 0.2837 -0.2443 -2.3930  0.125
H: -2.5406 0.0332 -1.1394  -0.002
H: -1.3792 1.0506 -1.3066  0.002
H: 1.4913 0.8531 3.0308  0.000
H: 1.5611 1.3595 1.6281  0.000
O: 1.9557 1.5004 2.4911  0.001

***

Record 3
Density functional theory data (wB97M-V/def2-TZVPD) for an isolated ion of composition C3H4NO and charge +1 at a distorted geometry.
____________
“A 10-day course of fluvoxamine costs approximately US$4… compares favorably w/ the treatment effects of more expensive treatments including monoclonal antibodies” Potential mechanisms are anti-inflammatory and antiplatelet action, the researchers added.
7.) Indiana County Declines CDC Grant That Plans Three More Years Of Covid
“How many Americans have already been infected with Covid? That 20 months into the pandemic we don’t have an answer to this most basic question is astonishing.”
This is the Friday update. You may submit your own articles / posts by clicking the ‘Submit’ tab on the menu. To comment, click the headline above, and a comment box will appear.Please share this website with your patriot friends and family.
1.) CDC Advisory Committee Quietly Confirms Moderna Jab Significantly More Dangerous Than Pfizer
2.) Call to Action – CDC on Reasons to reject Pfizer’s EUA application for mRNA shots for children ages 5 to 11; this is a well laid out cut and paste for you to use to weigh in on the shots for kids scam.
Brilliiant presentation of critical points, data — 2 min. From CDC reports we can expect for every 18 child hospitalizations prevented, at least 43 will end up in the hospital for all causes following v. You Will Never Hear This On Your Six O’Clock News…PhD Weighs In During FDA’s Public Comment…’Your Approval Today… Means Mandates Tomorrow’. In the name of millions of parents around the world, I implore you: HOLD THE LINE!
5.) New Lawsuit: Biden Task Force Schemes to Deny Religious Exemptions, Falsifies Medical Records
This is the Thursday update. You may submit your own articles / posts by clicking the ‘Submit’ tab on the menu. To comment, click the headline above, and a comment box will appear.Please share this website with your patriot friends and family.
1.) Tucker Carlson Rips the ‘Peak Lunacy’ of FDA Advisory Panel Recommending Covid Vaccines for Young Children
2.) Eight Wise Doctors and Hopeful Common Sense on Covid
Here we have a discussion panel with familiar, trusted figures like Pierre Kory, Robert Malone, Richard Urso, Ryan Cole, Brian Tyson, Mark McDonald, etc. Summary provided, 45 minute video discussion.
The gene-based ‘vaccines,’ narrowly focusing just on the spike protein, are causing variants, as well as damage to recipients. It is the spike protein that causes the damage in those sick with the ‘virus’. Choosing the spike protein molecule for the vaccine was a flat-out error.
The nature of ‘Covid’ is not a pulmonary problem per se, but an inflammatory and thrombotic problem, repeatedby the action of the vaccine. (As some other doctors have astutely observed, they get us going in with ‘Covid’, which turned out to be ‘mild’, and if that fails, they surely get more of us with the ‘vaccine’.) Urso says that people who die of Covid do so because of inflammation / thrombosis, not the ‘virus’. These two features were already separately treatable.
The vaccine has caused more damage in 8 months than any other medical product left on the market for a comparable amount of time.
The vaccinated are getting sick.
Early treatment works, period.
Attached: molecular data
=====
Entry 1:
# C4H5NO

A structure of composition C4H5NO (ωB97M-V/def2-TZVPD, OMol25).

Last column: natural (NBO) charge in e.
Cartesian coordinates (Å):
O: 0.5080 0.3654 1.6356  -0.6591
C: 0.1931 -0.2940 0.4672  0.1279
C: -0.5688 0.3587 -0.6673  -0.3744
C: -1.3046 -0.5271 0.2928  -0.3902
C: 1.3365 -0.4893 -0.3789  0.3384
N: 1.9115 0.2697 -1.1173  -0.5182
H: 1.1444 1.0680 1.4262  0.4817
H: 0.7973 1.0405 -1.1549  0.3295
H: -0.5056 -0.1961 -1.6027  0.2049
H: -1.8177 -0.1159 1.1588  0.2395
H: -1.6941 -1.4799 -0.0596  0.2200

As for the HOMO energy (alpha / beta): -0.34360 / -0.34362 Ha. The net charge is 0.


Entry 2:
# C4H5NO

The molecule C4H5NO (ωB97M-V/def2-TZVPD, OMol25).

Last column: natural (NBO) charge in e.
Cartesian coordinates (Å):
O: -2.0867 0.2030 -0.7048  -0.6872
C: -0.9621 -0.1719 -0.0118  0.3753
C: -0.3589 0.5956 0.9443  -0.3291
C: 1.0390 0.3872 0.8128  -0.3039
C: 1.2236 -0.5672 -0.1574  -0.0730
N: -0.0043 -0.9215 -0.6545  -0.5415
H: -1.6990 0.9167 -1.2392  0.4799
H: -0.8891 1.2954 1.5761  0.2261
H: 1.8085 0.9900 1.2717  0.2238
H: 2.1197 -0.9857 -0.5862  0.2114
H: -0.2030 -1.7162 -1.2434  0.4182

As for the HOMO energy: -0.29883 Ha. The net charge is 0. Its SMILES is Oc1ccc[nH]1.


Entry 3:
# C4H5NO

A cluster of 2 separate species, C4H5NO in total (ωB97M-V/def2-TZVPD, OMol25).

Last column: natural (NBO) charge in e.
Cartesian coordinates (Å):
O: -1.9921 0.1757 -0.3999  -0.5547
C: -0.8168 0.1327 -0.1481  0.6268
C: 0.2265 -0.9491 -0.2588  -0.0441
C: 1.3618 -0.6504 0.0923  -0.0347
C: 1.3930 0.7728 0.5549  -0.2505
N: -0.0283 1.1503 0.3552  -0.6102
H: 1.6819 0.8664 1.6062  0.2268
H: 2.0558 1.3974 -0.0520  0.2268
H: -0.4240 2.0588 0.5583  0.4082
H: -1.4977 -2.7688 -1.1284  -0.0172
H: -1.9601 -2.1857 -1.1797  0.0228

As for the HOMO energy (alpha / beta): -0.38446 / -0.38442 Ha. The net charge is 0. Its SMILES is O=C1C#CCN1.[H][H].


Entry 4:
# C4H5NO

A structure of composition C4H5NO (ωB97M-V/def2-TZVPD, OMol25).

Last column: natural (NBO) charge in e.
Cartesian coordinates (Å):
O: 0.1616 0.4705 -2.1068  -0.6594
C: 0.0836 0.1080 -0.7964  0.2035
C: 1.0961 -0.4353 -0.0678  -0.0920
N: 0.6370 -0.6157 1.2210  -0.5333
C: -0.6878 -0.3040 1.4144  -0.1581
C: -1.0311 0.2319 0.1111  -0.4296
H: -0.7157 0.7337 -2.4076  0.4812
H: 2.1015 -0.6912 -0.3745  0.2195
H: 1.2219 -0.9513 1.9705  0.4091
H: -0.8304 0.9721 1.1588  0.3175
H: -2.0495 0.5054 -0.1554  0.2414

As for the HOMO energy: -0.31376 Ha. The net charge is 0.


Entry 5:
# C4H5NO

The molecule C4H5NO (ωB97M-V/def2-TZVPD, OMol25).

Last column: natural (NBO) charge in e.
Cartesian coordinates (Å):
C: 0.9017 -1.0453 0.4318  -0.7311
C: 0.6802 0.1095 -0.5109  0.6115
O: 1.5578 0.6045 -1.1753  -0.5061
C: -0.7637 0.6281 -0.6441  -0.6166
C: -1.3267 1.0405 0.6428  0.2783
N: -1.7404 1.3701 1.6716  -0.3077
H: 1.9656 -1.2842 0.4609  0.2456
H: 0.3386 -1.9206 0.0850  0.2369
H: 0.5415 -0.8035 1.4378  0.2483
H: -1.3930 -0.1696 -1.0587  0.2652
H: -0.7617 1.4703 -1.3410  0.2757
=====
The shocking, new finding for us concerns new-born babies:
Children born after January 1, 2020 show an IQ drop of 20 points because of social deprivation; their brains haven’t developed
Shocking recordings of Mayo Clinic-Scottsdale and Banner Health System hospital executives have been released by an attorney on the Legal Advisory Council of Truth for Health Foundation, an Arizona public charity. Executives were discussing coordinated efforts to restrict fluids and nutrition for hospitalized COVID patients and to suppress all visitations for COVID patients.
The COVID protocol that hospital physicians must follow, in lockstep across the U.S., appears to be the implementation of the 2009-2010 “Complete Lives System” developed by Dr. Ezekiel Emanuel for rationing medical care for people older than 50.
WORLDWIDE WALKOUT NOV. 3: Now is the time to join CHD for ‘Worldwide Walkout!’ on Nov. 3 to demand a return to freedom and democratic principles. People around the globe are protesting the loss of liberty, illegal mandates and tyrannical government overreach. #BeADefender of truth, freedom and children’s health.
This is the Wednesday update. You may submit your own articles / posts by clicking the ‘Submit’ tab on the menu. To comment, click the headline above, and a comment box will appear.Please share this website with your patriot friends and family.
6.) Child deaths are 52% higher than the 5-year-average since they were offered the Covid-19 vaccine, after previously being 14% down according to ONS data
This is the Monday update. You may submit your own articles / posts by clicking the ‘Submit’ tab on the menu. To comment, click the headline above, and a comment box will appear.Please share this website with your patriot friends and family.
1.) Arizona AG Seeks Temporary Restraining Order to Stop Biden’s ‘Unconstitutional’ COVID-19 Vaccine Mandates
“Because it’s just over the horizon of what we can imagine from our vantage point, National Divorce isn’t at all an immediate action plan–or, at least, I don’t see it as such. Rather, it is a rhetorical strategy to prepare the ground for crucial discussions about what comes next in America, as the country grows even more divided, bitter, and angry. More than anything else, it is a reminder for Red America to think about economic and cultural autonomy for itself, and what it would take to get there. Autonomy for Red America is of crucial importance, regardless of the status of political or real separation. It is the ability for Americans to be self-sufficient from the financial, educational and cultural institutions that are hostile to its beliefs and way of life, and make reconciliation increasingly impossible.” Red American Cities, Gentrification and the Future: This is a conversation based on “The National Divorce” article linked below: More media exposure, discussions, video clips, Oct 2021: National Divorce is Expensive, But It’s Worth Every Penny: it Autonomy for Red America, Part 1: Autonomy for Red America, Part 2:
3.) Whitewash: Are US Government Health institutions engaged in a massive gain-of-function coverup?
7.) Irrefutable evidence of murder by Matt Hancock and others:
8 minute video clip. Obviously what was perpetrated in care homes and hospitals in Spring 2020 UK set the stage for the government’s justification of lockdowns and restrictions in the name of public health. And now they’ve started with the children just a few weeks ago…sudden deaths in 12 and under occurring. One family has charged the school and the vaccinator with murder. The court accepted the case, so it will be heard. The media in the UK are silent on the mounting evidence of murder against many government, public health, hospital and care home officials.
8.) Two tiered society already in effect in Lithuania
Today, this is Lithuania — a 2-tier society based on vaccination status. One group has access to all, the unvaccinated are, in effect, completely banished from society. This isn’t in the news, that I’ve seen. Quietly, smaller countries in the EU will go with this authoritarian, discriminatory “Covid Pass”. Once this barbaric practice gets a toe-hold, it will spread quickly and widely. Please read the description of what life is like for these Lithuanians who have chosen not to be vaccinated. Then pay attention closely…if this system is put in place in the US, either a small bit @ a time or full bore, it will be virtually impossible to change course. NY and CA have implemented passes to some degree already. I find it appalling that citizens are cheering this on, thinking only, in a misguided fashion, that this is about public health, their ’safety.’ It is not. It never has been about public health. How ignorant and short-sighted can people be?
This is the weekend update. You may submit your own articles / posts by clicking the ‘Submit’ tab on the menu. To comment, click the headline above, and a comment box will appear.Please share this website with your patriot friends and family.
1.) Protesters Stage Walkouts Across California In Defiance Of School Vaccine Mandates
On Monday, faculty and students at schools across the state of California staged walkouts in defiance of vaccine and testing requirements set to take effect this week. “We’re fighting for the freedom to make the medical choices that are best for our children. We are fully prepared to pull our kids from public school and hire our own teaching staff if that’s what it takes. We do not co-parent with the government,” Tess Van Dusen, an event organizer, reportedly said, according to ABC10 in Sacramento.
Outside of a high school in Van Nuys that is part of the Los Angeles Unified School District (LAUSD), demonstrators held signs as they marched that reportedly read: “My Body, My Choice,” “Our kids are not lab rats,” and “Stop the mandate LAUSD.”
2.) NIH Contradicts Fauci, Admits Funding Gain-of-Function Research at Wuhan Lab
Molecular biologist Richard H. Ebright on Wednesday posted a letter from the National Institute of Health (NIH) showing that an NIH grant did fund gain-of-function research at the Wuhan Institute of Virology, contrary to what Dr. Anthony Fauci had testified to the Senate.
Fauci testified to Senators at a hearing in May that the NIH “has not ever and does not now fund gain-of-function research in the Wuhan Institute of Virology.”
However, the NIH’s October 20 letter to House Oversight Committee Ranking Member James Comer (R-KY) showed that the NIH grant, which was awarded to EcoHealth Alliance and then sub-awarded to the Wuhan lab, funded a research project during 2018 and 2019 that tested “if spike proteins from naturally occurring bat coronaviruses circulating in China were capable of binding to the human ACE2 receptor in a mouse model.”
4.) Moderna was on the verge of collapse before CV:
Before COVID-19, Moderna was in danger of hemorrhaging investors, as major, persistent issues w its mRNA delivery system threatened its entire pipeline. Part 1 of this new 2-part series looks at just how desperate + close to collapse Moderna was pre-COVID.
This follow-up chart is the most updated and comprehensive library list of 81 of the highest-quality, complete, most robust scientific studies and evidence reports/position statements on natural immunity as compared to the COVID-19 vaccine-induced immunity and allow you to draw your own conclusion (as of 10/15). Individuals whose livelihoods and liberties are being deprecated and deleted need access to the scientific literature as it pertains to this virus. They should send a link to this page far and wide. The scientists have not been silent; they just haven’t received the public attention they deserve.
7.) Arkansas’ SAFE Act Goes to Trial July 25, 2022
This is the Friday update. You may submit your own articles / posts by clicking the ‘Submit’ tab on the menu. To comment, click the headline above, and a comment box will appear.Please share this website with your patriot friends and family.
1.) Biden Forced Americans Into A Game Of Chicken. They’re Not Flinching
5.) Unvaccinated Navy SEALs reportedly harassed over mandate
According to First Liberty general counsel, this is an ideological purge – the Dept of Defense has to date not honored a single religious exemption. Counsel says this is insane.
6.) Teacher thinks parents who attend school board meetings are terrorists: